• Contents:
........
[1]
ORCA calculation (the ωB97M-V functional and the def2-TZVPD basis) on a 2-piece molecular cluster, C5H9F2NO overall.

Each line ends with the Mulliken charge.
Positions of all 18 atoms, in Å:
C1 -1.893 -2.064 -0.030  -0.5499
C2 -2.670 0.004 -0.094  -0.4312
C3 1.562 0.600 -0.162  0.5427
C4 1.479 -0.697 0.115  0.4286
C5 1.301 1.482 1.003  -1.2057
N1 1.973 1.075 -1.392  -0.5607
O1 -2.196 -1.058 -0.732  -0.1467
F1 1.275 -1.182 1.366  -0.2702
F2 2.021 -1.717 -0.628  -0.2832
H1 -1.834 -2.999 -0.481  0.3154
H2 -2.128 -2.152 0.963  0.3290
H3 -2.918 -0.050 1.050  0.2188
H4 -3.227 0.724 -0.726  0.2609
H5 1.737 2.483 0.689  0.3405
H6 1.644 1.147 1.880  0.3511
H7 0.225 1.831 1.071  0.2452
H8 1.998 0.573 -2.243  0.2145
H9 1.650 2.000 -1.648  0.2008

Cartesian forces, eV/Å:
1.37 -2.83 0.09
-1.38 1.90 1.26
-0.41 -2.07 0.29
1.32 -1.50 0.15
-2.40 4.56 -4.55
0.15 2.16 -0.01
-1.34 2.30 -0.45
-0.11 0.39 -0.65
-0.89 1.10 0.23
0.57 -1.14 -1.44
-0.57 0.63 2.51
0.66 -0.19 -2.43
0.75 -0.64 0.45
0.17 -1.04 0.86
1.33 -1.22 3.19
0.85 -0.97 0.12
-0.06 -1.44 -0.17
-0.01 -0.01 0.55

Output
* gap between HOMO and LUMO (alpha / beta): 8.0 / 8.6 eV
* energy above the lowest of the compared OMol25 structures with the same formula, charge and spin: 100.8 kcal per mole
* molecular weight: 137.1 Da
* highest occupied orbital energy (alpha / beta): -0.2752 / -0.2861 Ha

[2]
ORCA calculation (the ωB97M-V functional and the def2-TZVPD basis) on a 2-piece molecular cluster, C7H10 overall.

Each line ends with the Mulliken charge.
Positions of all 17 atoms, in Å:
C1 -0.156 2.286 0.133  -1.1422
C2 -0.758 1.143 -0.043  0.7258
C3 -1.225 -0.056 -0.188  0.2975
C4 -1.631 -1.157 -1.075  -0.5656
C5 -1.855 -1.234 0.428  -0.5499
H1 0.920 2.279 0.303  0.1934
H2 -0.664 3.246 0.121  0.2681
H3 -2.477 -1.000 -1.739  0.2338
H4 -0.856 -1.804 -1.485  0.1770
H5 -1.223 -1.926 0.983  0.1731
H6 -2.861 -1.128 0.829  0.2311
C6 2.532 0.418 0.402  -0.7104
C7 1.705 -0.604 0.199  -0.3626
H7 3.014 0.934 -0.424  0.3151
H8 2.735 0.793 1.401  0.3164
H9 1.477 -0.963 -0.803  0.2019
H10 1.199 -1.104 1.021  0.1973

Cartesian forces, eV/Å:
0.01 0.08 0.00
-0.18 -0.49 -0.05
0.04 0.61 0.05
-0.02 -0.07 -0.22
-0.08 -0.08 0.21
-0.16 0.05 -0.02
-0.03 -0.20 -0.02
0.07 -0.03 0.18
-0.08 0.16 0.06
-0.08 0.16 -0.08
0.12 -0.03 -0.15
-0.12 -0.32 -0.04
0.29 0.20 0.04
-0.03 -0.10 0.09
0.01 -0.08 -0.10
0.10 0.05 0.16
0.15 0.07 -0.10

Output
* gap between HOMO and LUMO: 10.4 eV
* energy above the lowest of the compared OMol25 structures with the same formula, charge and spin: 91.6 kcal per mole
* molecular weight: 94.2 Da
* SMILES: C=C=C1CC1.C=C
* highest occupied orbital energy: -0.3387 Ha

----------

This record from the Open Molecules 2025 dataset describes a structure of composition C50H67FN5S3SbTi in a non-equilibrium geometry. The level of theory is ωB97M-V with the def2-TZVPD basis set.

HOMO-LUMO gap (spin up / spin down), eV: 5.56 / 5.55
HOMO energy (spin up / spin down), eV: -6.3496 / -6.3496
ΔE to the lowest compared entry with this formula, charge and spin, kJ/mol: 297.2
Calculated total energy, Eh: -4603.32898

```
128
C50H67FN5S3SbTi (ωB97M-V with the def2-TZVPD basis set)
C -3.45 0.26 -0.30
H -4.28 3.19 -1.23
S -2.81 -2.00 1.13
C 1.00 -4.59 2.22
H -3.93 5.71 1.50
S -5.48 -3.44 -0.64
C -3.94 -3.28 1.76
H 0.06 -4.03 2.31
H 5.21 0.50 0.56
F 0.91 1.22 1.01
H -4.90 -1.19 0.34
H -4.98 4.63 -0.49
C 1.82 -2.16 -1.84
H -0.48 -4.02 0.14
H -2.60 0.80 0.14
H -1.82 1.91 5.36
Sb 2.01 -1.74 1.73
C -1.40 -4.18 -3.60
H -5.18 -4.92 1.16
H -4.40 -3.65 -2.74
C 3.23 -2.79 4.50
C -2.73 0.32 4.19
H 3.47 0.75 0.46
C -0.73 -3.08 -3.09
H -4.74 -2.76 2.30
H -2.03 0.40 6.25
N -1.61 1.84 1.71
H 4.02 -4.11 0.55
C 1.26 2.15 -1.65
H -3.36 -3.87 2.47
H -3.70 -4.77 0.20
C 4.25 0.27 1.04
H -3.43 1.44 5.93
C 4.08 -1.25 1.14
C -4.50 -4.21 0.69
H 1.59 -3.89 0.28
H 4.15 -1.69 0.14
C -5.10 3.06 1.86
H -1.58 -6.03 -0.78
C -4.83 1.38 3.53
H 4.27 -2.53 4.32
C 3.33 -4.60 1.24
C -0.73 -4.07 -0.91
H -3.25 -3.25 -1.47
H -5.73 3.79 1.37
........

• Activity:
What is needed: print the lines above up to the one that holds "4.15 -1.69", that line included.

• Reply:
[1]
ORCA calculation (the ωB97M-V functional and the def2-TZVPD basis) on a 2-piece molecular cluster, C5H9F2NO overall.

Each line ends with the Mulliken charge.
Positions of all 18 atoms, in Å:
C1 -1.893 -2.064 -0.030  -0.5499
C2 -2.670 0.004 -0.094  -0.4312
C3 1.562 0.600 -0.162  0.5427
C4 1.479 -0.697 0.115  0.4286
C5 1.301 1.482 1.003  -1.2057
N1 1.973 1.075 -1.392  -0.5607
O1 -2.196 -1.058 -0.732  -0.1467
F1 1.275 -1.182 1.366  -0.2702
F2 2.021 -1.717 -0.628  -0.2832
H1 -1.834 -2.999 -0.481  0.3154
H2 -2.128 -2.152 0.963  0.3290
H3 -2.918 -0.050 1.050  0.2188
H4 -3.227 0.724 -0.726  0.2609
H5 1.737 2.483 0.689  0.3405
H6 1.644 1.147 1.880  0.3511
H7 0.225 1.831 1.071  0.2452
H8 1.998 0.573 -2.243  0.2145
H9 1.650 2.000 -1.648  0.2008

Cartesian forces, eV/Å:
1.37 -2.83 0.09
-1.38 1.90 1.26
-0.41 -2.07 0.29
1.32 -1.50 0.15
-2.40 4.56 -4.55
0.15 2.16 -0.01
-1.34 2.30 -0.45
-0.11 0.39 -0.65
-0.89 1.10 0.23
0.57 -1.14 -1.44
-0.57 0.63 2.51
0.66 -0.19 -2.43
0.75 -0.64 0.45
0.17 -1.04 0.86
1.33 -1.22 3.19
0.85 -0.97 0.12
-0.06 -1.44 -0.17
-0.01 -0.01 0.55

Output
* gap between HOMO and LUMO (alpha / beta): 8.0 / 8.6 eV
* energy above the lowest of the compared OMol25 structures with the same formula, charge and spin: 100.8 kcal per mole
* molecular weight: 137.1 Da
* highest occupied orbital energy (alpha / beta): -0.2752 / -0.2861 Ha

[2]
ORCA calculation (the ωB97M-V functional and the def2-TZVPD basis) on a 2-piece molecular cluster, C7H10 overall.

Each line ends with the Mulliken charge.
Positions of all 17 atoms, in Å:
C1 -0.156 2.286 0.133  -1.1422
C2 -0.758 1.143 -0.043  0.7258
C3 -1.225 -0.056 -0.188  0.2975
C4 -1.631 -1.157 -1.075  -0.5656
C5 -1.855 -1.234 0.428  -0.5499
H1 0.920 2.279 0.303  0.1934
H2 -0.664 3.246 0.121  0.2681
H3 -2.477 -1.000 -1.739  0.2338
H4 -0.856 -1.804 -1.485  0.1770
H5 -1.223 -1.926 0.983  0.1731
H6 -2.861 -1.128 0.829  0.2311
C6 2.532 0.418 0.402  -0.7104
C7 1.705 -0.604 0.199  -0.3626
H7 3.014 0.934 -0.424  0.3151
H8 2.735 0.793 1.401  0.3164
H9 1.477 -0.963 -0.803  0.2019
H10 1.199 -1.104 1.021  0.1973

Cartesian forces, eV/Å:
0.01 0.08 0.00
-0.18 -0.49 -0.05
0.04 0.61 0.05
-0.02 -0.07 -0.22
-0.08 -0.08 0.21
-0.16 0.05 -0.02
-0.03 -0.20 -0.02
0.07 -0.03 0.18
-0.08 0.16 0.06
-0.08 0.16 -0.08
0.12 -0.03 -0.15
-0.12 -0.32 -0.04
0.29 0.20 0.04
-0.03 -0.10 0.09
0.01 -0.08 -0.10
0.10 0.05 0.16
0.15 0.07 -0.10

Output
* gap between HOMO and LUMO: 10.4 eV
* energy above the lowest of the compared OMol25 structures with the same formula, charge and spin: 91.6 kcal per mole
* molecular weight: 94.2 Da
* SMILES: C=C=C1CC1.C=C
* highest occupied orbital energy: -0.3387 Ha

----------

This record from the Open Molecules 2025 dataset describes a structure of composition C50H67FN5S3SbTi in a non-equilibrium geometry. The level of theory is ωB97M-V with the def2-TZVPD basis set.

HOMO-LUMO gap (spin up / spin down), eV: 5.56 / 5.55
HOMO energy (spin up / spin down), eV: -6.3496 / -6.3496
ΔE to the lowest compared entry with this formula, charge and spin, kJ/mol: 297.2
Calculated total energy, Eh: -4603.32898

```
128
C50H67FN5S3SbTi (ωB97M-V with the def2-TZVPD basis set)
C -3.45 0.26 -0.30
H -4.28 3.19 -1.23
S -2.81 -2.00 1.13
C 1.00 -4.59 2.22
H -3.93 5.71 1.50
S -5.48 -3.44 -0.64
C -3.94 -3.28 1.76
H 0.06 -4.03 2.31
H 5.21 0.50 0.56
F 0.91 1.22 1.01
H -4.90 -1.19 0.34
H -4.98 4.63 -0.49
C 1.82 -2.16 -1.84
H -0.48 -4.02 0.14
H -2.60 0.80 0.14
H -1.82 1.91 5.36
Sb 2.01 -1.74 1.73
C -1.40 -4.18 -3.60
H -5.18 -4.92 1.16
H -4.40 -3.65 -2.74
C 3.23 -2.79 4.50
C -2.73 0.32 4.19
H 3.47 0.75 0.46
C -0.73 -3.08 -3.09
H -4.74 -2.76 2.30
H -2.03 0.40 6.25
N -1.61 1.84 1.71
H 4.02 -4.11 0.55
C 1.26 2.15 -1.65
H -3.36 -3.87 2.47
H -3.70 -4.77 0.20
C 4.25 0.27 1.04
H -3.43 1.44 5.93
C 4.08 -1.25 1.14
C -4.50 -4.21 0.69
H 1.59 -3.89 0.28
H 4.15 -1.69 0.14